Assignment:
The reader should write out the whole of the notes further below word for word.

Given:
____________
# 1
C27H34HgN3O4SSi as an isolated structure, computed with wB97M-V/def2-TZVPD.

Each line ends with the Mulliken spin population.
Geometry (Å):
Hg: 0.0640 -0.6161 -0.6064  0.450
C: -0.2480 3.7964 4.9572  -0.001
C: 0.0019 2.4126 4.4151  -0.012
C: 1.2316 1.7859 4.5933  0.005
C: 1.4706 0.5196 4.0771  -0.009
C: 0.4818 -0.1426 3.3595  -0.001
C: -0.7483 0.4741 3.1754  0.066
C: -0.9837 1.7350 3.7029  0.004
S: 0.7989 -1.7583 2.6253  0.010
O: 1.6631 -2.3999 3.6098  -0.001
O: -0.5226 -2.3315 2.4438  0.009
N: 1.4595 -1.5103 1.2508  0.003
C: 2.8501 -1.1016 1.2166  0.016
C: 3.3211 -0.5660 -0.1594  -0.006
O: 4.5548 -0.4676 -0.2865  0.001
O: 2.4499 -0.1691 -0.9815  -0.035
H: 0.3951 4.0076 5.8133  0.000
H: -1.2859 3.9152 5.2741  0.000
H: -0.0485 4.5626 4.2030  0.000
H: 2.0114 2.2918 5.1543  0.001
H: 2.4155 0.0234 4.2554  -0.001
H: -1.5065 -0.0504 2.6108  -0.027
H: -1.9514 2.2043 3.5505  0.003
H: 3.5225 -1.9148 1.4997  -0.001
H: 3.0524 -0.2704 1.9116  0.002
C: -5.1728 4.2399 -0.0412  0.000
C: -3.7934 4.4806 -0.6472  -0.001
N: -2.8551 3.4330 -0.3316  -0.017
C: -3.0875 2.1262 -0.9509  -0.008
C: -3.5074 1.0641 0.0498  -0.006
C: -1.6341 3.6404 0.2744  0.040
C: -1.3941 4.9862 0.9222  0.007
N: -0.7962 2.6820 0.2800  -0.066
H: -5.8524 5.0581 -0.2922  0.000
H: -5.1024 4.1603 1.0444  0.001
H: -5.6045 3.3123 -0.4172  0.000
H: -3.4077 5.4359 -0.2944  0.000
H: -3.8929 4.5657 -1.7387  0.001
H: -2.1708 1.8026 -1.4472  0.030
H: -3.8533 2.2601 -1.7198  0.009
H: -2.7056 0.8918 0.7662  0.058
H: -3.6884 0.1218 -0.4667  -0.036
H: -4.4188 1.3543 0.5810  0.000
H: -2.1957 5.2503 1.6156  0.001
H: -1.3159 5.7818 0.1782  -0.001
H: -0.4596 4.9401 1.4761  -0.003
H: 0.0545 2.9041 0.7859  0.000
C: -3.4938 -5.4435 -1.6997  0.006
C: -3.1510 -4.5164 -0.7264  0.001
C: -2.4550 -3.3647 -1.0741  -0.018
C: -2.0941 -3.1010 -2.3999  -0.041
C: -2.4484 -4.0545 -3.3618  0.054
C: -3.1348 -5.2114 -3.0224  0.001
Si: -1.1580 -1.4991 -2.8214  0.356
C: -2.4920 -0.3660 -3.5314  0.013
C: -3.8550 -0.5094 -3.2296  0.006
C: -4.8031 0.4065 -3.6640  -0.021
C: -4.4236 1.5096 -4.4197  0.050
C: -3.0762 1.6806 -4.7271  -0.019
C: -2.1361 0.7652 -4.2866  0.034
H: -4.0291 -6.3471 -1.4298  0.002
H: -3.4064 -4.6941 0.3114  -0.002
H: -2.1621 -2.6670 -0.2952  0.014
H: -2.1791 -3.8813 -4.3982  0.006
H: -3.3920 -5.9343 -3.7894  0.002
H: -0.3281 -1.8301 -4.0304  0.048
H: -4.1798 -1.3660 -2.6492  0.007
H: -5.8479 0.2565 -3.4119  -0.001
H: -5.1620 2.2265 -4.7599  0.011
H: -2.7586 2.5397 -5.3091  -0.001
H: -1.0903 0.9287 -4.5268  0.005

Its expectation value of S² is 0.759. For the total energy, the calculation gives -2355.60080 a.u. The value obtained for the max |F| is 0.0103 hartree/bohr. The net charge is -2. As for the frontier orbital gap (spin up / spin down): 3.0 / 6.4 eV. The spin multiplicity is 2. The value obtained for the LUMO energy (spin up / spin down) is 0.152 / 0.151 Eh. Its energy above the lowest of the compared OMol25 structures with the same formula, charge and spin is 17.9 kcal per mole.

=====

# 2
A 2-piece molecular cluster, CH6SSi overall, computed with wB97M-V/def2-TZVPD.

Each line ends with the natural charge from an NBO analysis.
Geometry (Å):
C: -0.8340 -0.3972 -0.5460  -0.891
Si: 0.8266 0.4650 -0.1721  0.888
S: -2.3934 0.1470 0.0507  0.043
H: -0.8393 -0.9035 -1.5076  0.243
H: -0.8458 -2.1437 0.2857  0.024
H: 1.9251 -0.7416 -0.1086  -0.125
H: 0.5748 1.2102 1.0412  -0.164
H: 1.1981 1.3519 -1.2642  -0.163
H: -2.1851 1.1298 1.0960  0.145

For the total energy, the calculation gives -729.20818 a.u. The value obtained for the max |F| is 0.0701 hartree/bohr. As for the frontier orbital gap (spin up / spin down): 8.1 / 8.1 eV. The value obtained for the LUMO energy (spin up / spin down) is -0.007 / -0.007 Eh. Its energy above the lowest of the compared OMol25 structures with the same formula, charge and spin is 105.7 kcal per mole.

=====

# 3
C29H89BInO7P2Si8 as an isolated structure, computed with wB97M-V/def2-TZVPD.

Each line ends with the Löwdin charge.
Geometry (Å):
____________

Here it is:
# 1
C27H34HgN3O4SSi as an isolated structure, computed with wB97M-V/def2-TZVPD.

Each line ends with the Mulliken spin population.
Geometry (Å):
Hg: 0.0640 -0.6161 -0.6064  0.450
C: -0.2480 3.7964 4.9572  -0.001
C: 0.0019 2.4126 4.4151  -0.012
C: 1.2316 1.7859 4.5933  0.005
C: 1.4706 0.5196 4.0771  -0.009
C: 0.4818 -0.1426 3.3595  -0.001
C: -0.7483 0.4741 3.1754  0.066
C: -0.9837 1.7350 3.7029  0.004
S: 0.7989 -1.7583 2.6253  0.010
O: 1.6631 -2.3999 3.6098  -0.001
O: -0.5226 -2.3315 2.4438  0.009
N: 1.4595 -1.5103 1.2508  0.003
C: 2.8501 -1.1016 1.2166  0.016
C: 3.3211 -0.5660 -0.1594  -0.006
O: 4.5548 -0.4676 -0.2865  0.001
O: 2.4499 -0.1691 -0.9815  -0.035
H: 0.3951 4.0076 5.8133  0.000
H: -1.2859 3.9152 5.2741  0.000
H: -0.0485 4.5626 4.2030  0.000
H: 2.0114 2.2918 5.1543  0.001
H: 2.4155 0.0234 4.2554  -0.001
H: -1.5065 -0.0504 2.6108  -0.027
H: -1.9514 2.2043 3.5505  0.003
H: 3.5225 -1.9148 1.4997  -0.001
H: 3.0524 -0.2704 1.9116  0.002
C: -5.1728 4.2399 -0.0412  0.000
C: -3.7934 4.4806 -0.6472  -0.001
N: -2.8551 3.4330 -0.3316  -0.017
C: -3.0875 2.1262 -0.9509  -0.008
C: -3.5074 1.0641 0.0498  -0.006
C: -1.6341 3.6404 0.2744  0.040
C: -1.3941 4.9862 0.9222  0.007
N: -0.7962 2.6820 0.2800  -0.066
H: -5.8524 5.0581 -0.2922  0.000
H: -5.1024 4.1603 1.0444  0.001
H: -5.6045 3.3123 -0.4172  0.000
H: -3.4077 5.4359 -0.2944  0.000
H: -3.8929 4.5657 -1.7387  0.001
H: -2.1708 1.8026 -1.4472  0.030
H: -3.8533 2.2601 -1.7198  0.009
H: -2.7056 0.8918 0.7662  0.058
H: -3.6884 0.1218 -0.4667  -0.036
H: -4.4188 1.3543 0.5810  0.000
H: -2.1957 5.2503 1.6156  0.001
H: -1.3159 5.7818 0.1782  -0.001
H: -0.4596 4.9401 1.4761  -0.003
H: 0.0545 2.9041 0.7859  0.000
C: -3.4938 -5.4435 -1.6997  0.006
C: -3.1510 -4.5164 -0.7264  0.001
C: -2.4550 -3.3647 -1.0741  -0.018
C: -2.0941 -3.1010 -2.3999  -0.041
C: -2.4484 -4.0545 -3.3618  0.054
C: -3.1348 -5.2114 -3.0224  0.001
Si: -1.1580 -1.4991 -2.8214  0.356
C: -2.4920 -0.3660 -3.5314  0.013
C: -3.8550 -0.5094 -3.2296  0.006
C: -4.8031 0.4065 -3.6640  -0.021
C: -4.4236 1.5096 -4.4197  0.050
C: -3.0762 1.6806 -4.7271  -0.019
C: -2.1361 0.7652 -4.2866  0.034
H: -4.0291 -6.3471 -1.4298  0.002
H: -3.4064 -4.6941 0.3114  -0.002
H: -2.1621 -2.6670 -0.2952  0.014
H: -2.1791 -3.8813 -4.3982  0.006
H: -3.3920 -5.9343 -3.7894  0.002
H: -0.3281 -1.8301 -4.0304  0.048
H: -4.1798 -1.3660 -2.6492  0.007
H: -5.8479 0.2565 -3.4119  -0.001
H: -5.1620 2.2265 -4.7599  0.011
H: -2.7586 2.5397 -5.3091  -0.001
H: -1.0903 0.9287 -4.5268  0.005

Its expectation value of S² is 0.759. For the total energy, the calculation gives -2355.60080 a.u. The value obtained for the max |F| is 0.0103 hartree/bohr. The net charge is -2. As for the frontier orbital gap (spin up / spin down): 3.0 / 6.4 eV. The spin multiplicity is 2. The value obtained for the LUMO energy (spin up / spin down) is 0.152 / 0.151 Eh. Its energy above the lowest of the compared OMol25 structures with the same formula, charge and spin is 17.9 kcal per mole.

=====

# 2
A 2-piece molecular cluster, CH6SSi overall, computed with wB97M-V/def2-TZVPD.

Each line ends with the natural charge from an NBO analysis.
Geometry (Å):
C: -0.8340 -0.3972 -0.5460  -0.891
Si: 0.8266 0.4650 -0.1721  0.888
S: -2.3934 0.1470 0.0507  0.043
H: -0.8393 -0.9035 -1.5076  0.243
H: -0.8458 -2.1437 0.2857  0.024
H: 1.9251 -0.7416 -0.1086  -0.125
H: 0.5748 1.2102 1.0412  -0.164
H: 1.1981 1.3519 -1.2642  -0.163
H: -2.1851 1.1298 1.0960  0.145

For the total energy, the calculation gives -729.20818 a.u. The value obtained for the max |F| is 0.0701 hartree/bohr. As for the frontier orbital gap (spin up / spin down): 8.1 / 8.1 eV. The value obtained for the LUMO energy (spin up / spin down) is -0.007 / -0.007 Eh. Its energy above the lowest of the compared OMol25 structures with the same formula, charge and spin is 105.7 kcal per mole.

=====

# 3
C29H89BInO7P2Si8 as an isolated structure, computed with wB97M-V/def2-TZVPD.

Each line ends with the Löwdin charge.
Geometry (Å):